## Material
Record 1
Entry from the OMol25 dataset: a molecular structure, C41H31BrN6O3STi (the ωB97M-V functional and the def2-TZVPD basis).

Calculated values
- ΔE to the lowest compared entry with this formula, charge and spin: 0.00 kJ/mol
- <S²>: 2.06
- Orbital gap (alpha / beta): 5.083 / 7.131 eV
- Energy: -162101.64275 eV
- Multiplicity: 3

```
84
C41H31BrN6O3STi | the OMol25 dataset | the ωB97M-V functional and the def2-TZVPD basis
Ti -0.662 -0.218 -0.192
Br 5.995 -2.052 -3.120
C 4.355 -1.283 -2.539
C 4.203 0.098 -2.568
C 3.012 0.643 -2.112
C 1.978 -0.158 -1.629
O 0.901 0.425 -1.111
C 2.106 -1.578 -1.671
C 1.063 -2.487 -1.361
N -0.206 -2.141 -1.072
C -1.207 -3.066 -1.129
C -1.089 -4.438 -1.380
C -2.218 -5.252 -1.511
C -3.496 -4.759 -1.409
C -3.673 -3.387 -1.125
C -4.939 -2.780 -0.984
C -5.039 -1.443 -0.695
C -3.862 -0.702 -0.531
N -2.668 -1.247 -0.646
C -2.538 -2.562 -0.944
C 3.341 -2.105 -2.112
H 5.001 0.731 -2.929
H 2.867 1.716 -2.096
H 1.312 -3.538 -1.469
H -0.117 -4.891 -1.510
H -2.065 -6.305 -1.715
H -4.362 -5.395 -1.532
H -5.827 -3.387 -1.111
H -5.997 -0.954 -0.588
H -3.893 0.356 -0.292
H 3.478 -3.179 -2.133
N -1.587 -1.440 1.799
C -0.637 -2.385 2.248
C -0.921 -3.597 2.818
C 0.124 -4.429 3.270
C 1.429 -4.031 3.191
C 1.753 -2.790 2.595
C 3.065 -2.280 2.481
C 3.260 -1.067 1.885
C 2.160 -0.394 1.320
N 0.929 -0.852 1.379
C 0.714 -1.999 2.075
H -2.530 -1.805 1.821
H -1.519 -0.575 2.349
H -1.951 -3.908 2.945
H -0.126 -5.383 3.715
H 2.227 -4.654 3.576
H 3.894 -2.858 2.870
H 4.242 -0.629 1.782
H 2.317 0.527 0.777
C 4.369 4.873 2.290
C 3.014 4.227 2.216
C 2.557 3.651 1.037
C 1.313 3.036 0.973
C 0.515 2.997 2.103
C 0.948 3.576 3.289
C 2.189 4.181 3.341
S -1.076 2.198 2.108
O -2.031 3.155 2.599
O -0.914 0.995 2.902
N -1.348 1.746 0.587
C -1.710 2.719 -0.354
C -1.933 4.064 -0.136
C -2.295 4.925 -1.192
C -2.444 4.480 -2.473
C -2.212 3.115 -2.750
C -2.317 2.561 -4.043
C -2.058 1.233 -4.245
C -1.685 0.448 -3.144
N -1.585 0.937 -1.932
C -1.841 2.246 -1.699
H 4.751 5.104 1.296
H 5.087 4.209 2.777
H 4.334 5.797 2.867
H 3.178 3.680 0.150
H 0.984 2.575 0.050
H 0.311 3.551 4.164
H 2.525 4.630 4.268
H -1.853 4.481 0.854
H -2.460 5.968 -0.957
H -2.728 5.147 -3.277
H -2.600 3.206 -4.865
H -2.125 0.783 -5.225
H -1.456 -0.607 -3.259
```

These are the Löwdin partial charges, in e, on atoms 1 to 8: Ti 1.07; Br 0.70; C -0.71; C -0.14; C -0.02; C -0.34; O -0.23; C -0.16


Record 2
Entry from the OMol25 dataset: 2 unconnected molecules or ions with the total composition C2H4NO3 (the ωB97M-V functional and the def2-TZVPD basis).

Calculated values
- ΔE to the lowest compared entry with this formula, charge and spin: 17.50 kJ/mol
- Orbital gap: 8.888 eV
- Energy: -9773.62779 eV
- Net charge: -1

```
10
C2H4NO3 | the OMol25 dataset | the ωB97M-V functional and the def2-TZVPD basis
C 1.777 0.229 0.398
N 0.890 -0.769 0.565
O 2.993 0.143 0.416
H 1.247 1.184 0.241
H -0.083 -0.519 0.379
H 1.246 -1.709 0.494
O -1.424 0.633 -1.701
C -2.011 0.374 -0.642
O -1.638 0.588 0.548
H -2.998 -0.155 -0.696
```

These are the Löwdin partial charges, in e, on atoms 1 to 8: C -0.45; N 0.12; O -0.05; H 0.13; H 0.04; H 0.10; O -0.12; C -0.68


Record 3
Entry from the OMol25 dataset: a molecular structure, C9H14N5 (the ωB97M-V functional and the def2-TZVPD basis).

Calculated values
- ΔE to the lowest compared entry with this formula, charge and spin: 391.43 kJ/mol
- Orbital gap: 8.501 eV
- Energy: -17001.02625 eV
- Net charge: +1

```
28
C9H14N5 | the OMol25 dataset | the ωB97M-V functional and the def2-TZVPD basis
C 1.810 1.091 -0.729
C 1.833 -0.836 0.379
C 0.929 0.141 -0.233
C -0.488 0.051 -0.317
C -1.369 -1.632 -0.484
C -3.294 -0.477 0.476
C -2.793 0.709 -0.385
C 4.397 -0.858 0.588
C -0.879 2.250 0.324
N 3.068 0.761 -0.480
N -2.478 -1.709 0.055
N 3.011 -0.424 0.194
N -1.361 0.945 -0.088
N -0.745 -2.585 -1.153
H 1.738 1.954 -1.252
H 1.631 -1.721 0.975
H -3.186 -0.364 1.495
H -4.270 -0.685 0.177
H -3.073 0.358 -1.419
H -3.304 1.607 0.050
H 4.822 -0.060 1.309
H 4.563 -1.849 0.880
## What to do
Repeat only the lines above with the word "are" in them, please.
## Result
These are the Löwdin partial charges, in e, on atoms 1 to 8: Ti 1.07; Br 0.70; C -0.71; C -0.14; C -0.02; C -0.34; O -0.23; C -0.16
These are the Löwdin partial charges, in e, on atoms 1 to 8: C -0.45; N 0.12; O -0.05; H 0.13; H 0.04; H 0.10; O -0.12; C -0.68